Durga Puja is not just about styling; it is also about staying comfortable. For Bengalis, "Pujo" means pandal hopping and that comes with new apparels including new shoes. New shoes again come with bruises and shoe bites.
Worried? No need to be. You can now be trendy with comfort in your pocket. There are some kick-ass style trends for this Durga Puja which will allow you to freely hop around the pandals, worrying less about the shoe bites.
White Sneakers: As we have already spoken about it a hell lot of times, white sneakers are actually ruling the planet right now. This is the coolest style trend of the year and you actually cannot move out of your house without wearing a pair of white sneakers for at least one day of the festival. They are cool and also very comfortable.
Moreover, white sneakers is not just a trend for women but men can also rock in them. You will benefit if you get yourself a pair with patches on as they seem to be the coolest.

Bling Shoes: Bling is the new in, be it jackets or shoes. Bling shoes are in the limelight and they too can be worn by both men and women. Due to its wacky and unisex characteristics, it is adored by the millenials. You cannot miss out on this trend, especially during this festival.

Sock Boots: Socks with heels or socks with boots, this is one trend that has flown from the West. Supermodel Kendal Jenner has set this trend and now India is going ga-ga over this.

During this festival, do not miss on this trend as it will make you sassy as well as 'hatke'.
Rainbow Tasseled Sandals: Mainly in India, fashion comes with an amalgamation of colours. Especially during festivals, this rainbow tasseled sandals trend cannot go in vain. The special quality of such sandals is that it matches with both Western and traditional outfits. The Bollywood celebs are rocking this trend too; why should you miss?
Kitten Heels: Kitten heels are the tiny thin heels which can be carried by a person who is not even fond of heels. People who love heels can carry them during pandal hoppings, with very less pressure on the feet. We would also recommend you to not walk through the entire city's pandals wearing this pair of shoes. We know that Bengalis are capable of doing that.

Here the page breaks off for crystal structures >
Crystalline HfNbAs2 at its relaxed geometry. Source: OQMD, functional GGA-PBE.

Computed properties:
electronic total energy	-116.5	eV for the cell shown

abc: 6.6357 6.6357 6.6357
angles: 90.00 90.00 90.00
Last column: nearest neighbours and their distance in Å.
Space group F-43m (No. 216)
Unique sites:
1 Hf 0.0000 0.0000 0.0000 [4 per cell]  4 As 2.87, 4 Nb 2.87
2 Nb 0.2500 0.2500 0.7500 [4 per cell]  4 Hf 2.87, 4 As 2.87
3 As 0.0000 0.0000 0.5000 [4 per cell]  4 Nb 2.87, 4 As 2.87
4 As 0.2500 0.2500 0.2500 [4 per cell]  4 As 2.87, 4 Hf 2.87

***

Crystalline LaNdGa2Au2 at its relaxed geometry. Source: OQMD, functional GGA-PBE.

Computed properties:
electronic total energy	-27.1	eV for the cell shown

abc: 4.6211 4.6211 7.5319
angles: 90.00 90.00 120.00
Last column: nearest neighbours and their distance in Å.
Space group P-6m2 (No. 187)
Unique sites:
1 La 0.0000 0.0000 0.0000 [1 per cell]  6 Au 3.24, 6 Ga 3.41
2 Nd 0.0000 0.0000 0.5000 [1 per cell]  6 Ga 3.14, 6 Au 3.29
3 Ga 0.3333 0.6667 0.2812 [2 per cell]  3 Au 2.68
4 Au 0.6667 0.3333 0.2433 [2 per cell]  3 Ga 2.68

***

Crystalline GdYFe2 at its relaxed geometry. Source: OQMD, functional GGA-PBE.

Computed properties:
formation energy	0.1	eV per formula unit
electronic total energy	-55.3	eV for the cell shown

abc: 3.7309 7.8168 5.7172
angles: 90.00 90.00 90.00
Last column: nearest neighbours and their distance in Å.
Space group Pmn2_1 (No. 31)
Unique sites:
1 Gd 0.0000 0.0736 0.0000 [2 per cell]  7 Fe 2.96-3.18
2 Y 0.0000 0.5703 0.2655 [2 per cell]  7 Fe 2.94-3.20
3 Fe 0.0000 0.2197 0.4817 [2 per cell]  2 Fe 2.23
4 Fe 0.0000 0.7204 0.7857 [2 per cell]  2 Fe 2.23

***

Crystalline Nb4SbAuC2 at its relaxed geometry. Source: OQMD, functional GGA-PBE.

Computed properties:
electronic total energy	-69.2	eV for the cell shown

abc: 3.2824 3.2824 13.4667
angles: 90.00 90.00 120.00
Last column: nearest neighbours and their distance in Å.
Space group P-6m2 (No. 187)
Unique sites:
1 Nb 0.0000 0.0000 0.1643 [2 per cell]  3 C 2.23
2 Nb 0.3333 0.6667 0.3344 [2 per cell]  3 C 2.20
3 Sb 0.3333 0.6667 0.0000 [1 per cell]  6 Nb 2.91
4 Au 0.0000 0.0000 0.5000 [1 per cell]  6 Nb 2.93
5 C 0.6667 0.3333 0.2513 [2 per cell]  6 Nb 2.20-2.23

***

Crystalline GaOsNO at its relaxed geometry. Source: OQMD, functional GGA-PBE.

Computed properties:
electronic total energy	-55.8	eV for the cell shown

abc: 3.7359 3.7359 6.4921
angles: 90.00 90.00 90.00
Last column: nearest neighbours and their distance in Å.
Space group P4/nmm (No. 129, origin choice 2)
Unique sites:
1 Ga 0.2500 0.2500 0.1285 [2 per cell]  4 O 2.05
2 Os 0.2500 0.7500 0.5000 [2 per cell]  4 N 2.09
3 N 0.2500 0.2500 0.6430 [2 per cell]  4 Os 2.09
4 O 0.2500 0.7500 0.0000 [2 per cell]  4 Ga 2.05

***

Crystalline CsKPaSe3 at its relaxed geometry. Source: OQMD, functional GGA-PBE.

Computed properties:
electronic total energy	-116.4	eV for the cell shown

abc: 4.3633 19.8613 12.2173
angles: 90.00 90.00 90.00
The page goes on >

Gladiators: Gladiators are back and they are totally rocking the fashion world. Gladiators can be a good option to choose during this festival and it is not just comfortable but also makes your look sexier. We prefer tall girls to go for this trend as gladiators tend to make your legs look smaller which might be a disadvantage for shorter girls.
Worried? No need to be. You can now be trendy with comfort in your pocket. There are some kick-ass style trends for this Durga Puja which will allow you to freely hop around the pandals, worrying less about the shoe bites.
White Sneakers: As we have already spoken about it a hell lot of times, white sneakers are actually ruling the planet right now. This is the coolest style trend of the year and you actually cannot move out of your house without wearing a pair of white sneakers for at least one day of the festival. They are cool and also very comfortable.
Moreover, white sneakers is not just a trend for women but men can also rock in them. You will benefit if you get yourself a pair with patches on as they seem to be the coolest.

Bling Shoes: Bling is the new in, be it jackets or shoes. Bling shoes are in the limelight and they too can be worn by both men and women. Due to its wacky and unisex characteristics, it is adored by the millenials. You cannot miss out on this trend, especially during this festival.

Sock Boots: Socks with heels or socks with boots, this is one trend that has flown from the West. Supermodel Kendal Jenner has set this trend and now India is going ga-ga over this.

During this festival, do not miss on this trend as it will make you sassy as well as 'hatke'.
Rainbow Tasseled Sandals: Mainly in India, fashion comes with an amalgamation of colours. Especially during festivals, this rainbow tasseled sandals trend cannot go in vain. The special quality of such sandals is that it matches with both Western and traditional outfits. The Bollywood celebs are rocking this trend too; why should you miss?
Kitten Heels: Kitten heels are the tiny thin heels which can be carried by a person who is not even fond of heels. People who love heels can carry them during pandal hoppings, with very less pressure on the feet. We would also recommend you to not walk through the entire city's pandals wearing this pair of shoes. We know that Bengalis are capable of doing that.

### Crystal structures, as found in the file
____________
(1)
The following is a PBE calculation of K2Ag12Se7 after structural relaxation, from Alexandria via LeMat-Bulk.

Lattice parameters (Å, degrees): 4.543 10.942 10.942 120.00 90.00 90.00
Element x y z (fractional)
Ag 0.701 0.054 0.402
Ag 0.800 0.900 0.752
Ag 0.800 0.852 0.100
K 0.742 0.667 0.333
Ag 0.200 0.100 0.248
Se 0.219 0.886 0.312
Ag 0.299 0.652 0.054
Ag 0.800 0.248 0.148
Ag 0.299 0.402 0.348
Se 0.781 0.574 0.886
Se 0.781 0.312 0.426
Ag 0.701 0.348 0.946
Se 0.219 0.688 0.574
Ag 0.701 0.598 0.652
Ag 0.299 0.946 0.598
Se 0.500 0.000 0.000
Ag 0.200 0.148 0.900
K 0.258 0.333 0.667
Se 0.781 0.114 0.688
Se 0.219 0.426 0.114
Ag 0.200 0.752 0.852

Calculated values
Uncorrected formation energy = -0.2541 eV per atom
Raw total energy = -3.1494 eV per atom
ρ = 6.79 Mg/m³

(2)
The following is a PBE calculation of Be3CrH after structural relaxation, from Alexandria via LeMat-Bulk.

Lattice parameters (Å, degrees): 3.352 3.352 3.352 90.00 90.00 90.00
Last column: magnetic moment on the atom in μB.
Element x y z (fractional)
H 0.000 0.000 0.000  0.04
Be 0.000 0.000 0.500  -0.02
Be 0.000 0.500 0.000  -0.03
Cr 0.500 0.500 0.500  0.79
Be 0.500 0.000 0.000  -0.02

Calculated values
Raw total energy = -4.6761 eV per atom
ρ = 3.53 Mg/m³

(3)
The following is a PBE calculation of La4Tb2Y after structural relaxation, from Alexandria via LeMat-Bulk.

Lattice parameters (Å, degrees): 12.783 12.783 6.905 97.00 97.00 150.26
Element x y z (fractional)
Y 0.666 0.417 0.001
La 0.714 0.176 0.864
La 0.036 0.143 0.597
Tb 0.921 0.104 0.044
La 0.143 0.036 0.097
Tb 0.104 0.921 0.544
Tb 0.310 0.627 0.957
La 0.188 0.795 0.903
La 0.562 0.600 0.137
La 0.600 0.562 0.637
Tb 0.627 0.310 0.457
La 0.176 0.714 0.364
Y 0.417 0.666 0.501
La 0.795 0.188 0.403

Calculated values
Raw total energy = -4.9935 eV per atom
Formation energy = 0.0685 eV/atom
ρ = 6.49 Mg/m³

(4)
The following is a PBE calculation of Ba2TaAlO6 after structural relaxation, from Alexandria via LeMat-Bulk.

Lattice parameters (Å, degrees): 5.820 5.820 10.050 73.17 73.17 60.00
Element x y z (fractional)
O 0.798 0.798 0.116
Al 0.000 0.000 0.000
O 0.840 0.395 0.370
O 0.202 0.202 0.884
Ba 0.868 0.868 0.397
O 0.160 0.605 0.630
Ba 0.132 0.132 0.603
O 0.605 0.160 0.630
Al 0.500 0.500 0.500
O 0.288 0.798 0.116
O 0.202 0.712 0.884
O 0.798 0.288 0.116
Ba 0.282 0.282 0.153
O 0.395 0.395 0.370
O 0.395 0.840 0.370
O 0.712 0.202 0.884
Ta 0.407 0.407 0.780
O 0.605 0.605 0.630
Ba 0.718 0.718 0.847
Ta 0.593 0.593 0.220

Calculated values
Uncorrected formation energy = -2.9583 eV per atom
Raw total energy = -7.8773 eV per atom
ρ = 6.92 Mg/m³

(5)
The following is a PBE calculation of Li4GeS4 after structural relaxation, from Alexandria via LeMat-Bulk.

Lattice parameters (Å, degrees): 6.216 7.786 14.165 90.00 90.00 90.00
Element x y z (fractional)
Li 0.686 0.498 0.178
Li 0.500 0.000 0.000
Li 0.628 0.250 0.414
Li 0.814 0.002 0.678
S 0.217 0.487 0.656
Ge 0.150 0.250 0.089
S 0.231 0.250 0.438
Ge 0.850 0.750 0.911
Li 0.372 0.750 0.586
____________

Gladiators: Gladiators are back and they are totally rocking the fashion world. Gladiators can be a good option to choose during this festival and it is not just comfortable but also makes your look sexier. We prefer tall girls to go for this trend as gladiators tend to make your legs look smaller which might be a disadvantage for shorter girls.